C. HUMAN MUSCLES [O = Origin; I = Insertion; A = Action] You must be logged in to Mc-Graw Hill Connect for animation videos to work on actions.
1. Orbicularis oris
Sphincter around mouth
A = Closes and protrudes lips: https://anatomy.mheducation.com/html/apr.html?animal=human&id=11
2. Orbicularis oculi
Sphincter around eye
A = Closes eyelids: https://anatomy.mheducation.com/html/apr.html?animal=human&id=10
3. Zygomaticus (major & minor)
O = Zygomatic bone
I = Angle of mouth
A = Raise angle of mouth; smile
4. Risorius
O = Fascia of masseter muscle
I = Angle of mouth
A = Draws angle of mouth laterally as in tenseness
5. Buccinator
O = Alveoli of mandible and maxillae
I = Orbicularis oris
A = Compress cheek; blowing and sucking: https://anatomy.mheducation.com/html/apr.html?animal=human&id=8672
6. Platysma
O = Fascia over deltoid and pectoralis major muscles
I = Mandible, skin of chin and cheek
A = Depress mandible; draws lip downward as in pouting; tightens and wrinkles skin of neck: https://anatomy.mheducation.com/html/apr.html?animal=human&id=8685
7. Frontalis
O = Galea aponeurotica
I = Skin and muscles of forehead
A = Raises eyebrows, wrinkles forehead, draws scalp foreword: https://anatomy.mheducation.com/html/apr.html?animal=human&id=8
8. Occipitalis
O = Occipital bone
I = Galea aponeurotica
A = Draws scalp backward
*1. Masseter
O = Zygomatic arch
I = Ramus of mandible
A = Elevates mandible: https://anatomy.mheducation.com/html/apr.html?animal=human&id=8683
2. Temporalis
O = Temporal line
I = Coronoid process of mandible
A = Elevates and retracts mandible: https://anatomy.mheducation.com/html/apr.html?animal=human&id=8691
3. Digastric (floor of the oral cavity)
O = Hyoid bone
I = Inner surface of lower border of mandible (chin); mastoid process of temporal bone
A = Elevates hyoid and larynx, depresses mandible
*1. Sternocleidomastoid
O = Sternum and clavicle
I = Mastoid process of temporal bone
A = If both sides contract, it flexes the neck; if one side contracts, it rotates the head towards the opposite side
2. Splenius capitis
O = Ligamentum nuchae and spines of C7-T4 vertebrae
I = Occipital bone and mastoid process of temporal bone
A = Both sides extend head; one side rotates head to the same side as the contracting muscle
1. Serratus anterior
O = First 9 ribs
I = Vertebral border of scapula, ventral side
A = Abducts scapula: https://anatomy.mheducation.com/html/apr.html?animal=human&id=8688
2. Pectoralis minor
O = Ribs 3-5
I = Coracoid process of scapula
A = Depresses scapula; protracts scapula
3. Rhomboideus (major & minor)
O = Spines of C7-T5 vertebrae
I = Vertebral border of scapula
A = Adducts scapula: https://anatomy.mheducation.com/html/apr.html?animal=human&id=8686
*4. Trapezius
O = Occipital bone, ligamentum nuchae, spines of C7-T12
I = Clavicle, acromion, and spine of scapula
A = Elevates (upper portion) or depresses (lower portion) scapula; adducts scapula, extends head: https://anatomy.mheducation.com/html/apr.html?animal=human&id=8693
*1. Pectoralis major
O = Clavicle, sternum, costal cartilages of ribs 2-6
I = Greater tubercle of humerus
A = Flexes, adducts, and medially rotates arm: https://anatomy.mheducation.com/html/apr.html?animal=human&id=8684
*2. Latissimus dorsi
O = Spinous processes of T7 through all lumbar through sacrum, posterior iliac crest, lumbodorsal fascia
I = Intertubercular groove of humerus
A = Extends, adducts and medially rotates arm: https://anatomy.mheducation.com/html/apr.html?animal=human&id=8682
*3. Deltoid
O = Clavicle, acromion and spine of scapula
I = Deltoid tuberosity of humerus
A = Abducts arm: https://anatomy.mheducation.com/html/apr.html?animal=human&id=3
*4. Supraspinatus
O = Supraspinous fossa
I = Greater tubercle of humerus
A = Abducts arm: https://anatomy.mheducation.com/html/apr.html?animal=human&id=8690
*5. Infraspinatus
O = Infraspinous fossa
I = Greater tubercle of humerus
A = Rotates arm laterally: https://anatomy.mheducation.com/html/apr.html?animal=human&id=8681
*6. Subscapularis
O = Subscapular fossa
I = Lesser tubercle of humerus
A = Rotates arm medially: https://anatomy.mheducation.com/html/apr.html?animal=human&id=8689
7. Teres major
O = Inferior angle of scapula
I = Intertubercular groove of humerus
A = Medial rotates and adducts arm: https://anatomy.mheducation.com/html/apr.html?animal=human&id=8692
8. Teres minor
O = Lateral (axillary) border of scapula
I = Greater tubercle of humerus
A = Rotates arm laterally
*1. Biceps brachii
O = Above the glenoid fossa; coracoid process of scapula
I = Radial tuberosity
A = Flexes forearm (elbow) and supinates forearm: https://anatomy.mheducation.com/html/apr.html?animal=human&id=4
2. Brachialis
O = Anterior surface of humerus
I = Coronoid process of ulna
A = Flexes forearm: https://anatomy.mheducation.com/html/apr.html?animal=human&id=8671
*3. Triceps brachii
O = Long head-below glenoid fossa; Lateral head-lateral and posterior shaft of humerus proximally; Medial head- posterior surface of humerus distally
I = Olecranon process of ulna
A = Extends forearm (elbow): https://anatomy.mheducation.com/html/apr.html?animal=human&id=8694
4. Supinator
O = Lateral epicondyle of humerus
I = Lateral surface of proximal radius
A = Supinates forearm
5. Pronator teres
O = Medial epicondyle of humerus; coronoid process of ulna
I = Middle of the lateral surface of radius
A = Pronates forearm
6. Pronator quadratus
O = Distal ulna (anterior)
I = Distal radius (anterior)
A = Pronates forearm
*1. Flexor carpi radialis
O = Medial epicondyle of humerus
I = Ventral surface of metacarpals II, III
A = Flexes and abducts palm
2. Flexor carpi ulnaris
O = Medial epicondyle of humerus; upper dorsal border of ulna
I = Base of metacarpal III-V
A = Flexes and adducts palm
3. Palmaris longus
O = Medial epicondyle of humerus
I = Palmar aponeurosis
A = Flexes palm
4. Flexor digitorum superficialis
O = Medial epicondyle of humerus, coronoid process of ulna, anterior surface of radius
I = Ventral surface of middle phalanges 2-5
A = Flexes phalanges: https://anatomy.mheducation.com/html/apr.html?animal=human&id=8676
5. Flexor digitorum profundus
O = Anterior medial surface of ulna
I = Ventral surface of distal phalanges 2-5
A = Flexes phalanges: https://anatomy.mheducation.com/html/apr.html?animal=human&id=8676
6. Extensor carpi radialis (longus)
O = Lateral epicondyle of humerus
I = Dorsal surface of metacarpal II
A = Extends and abduct palm
7. Extensor carpi ulnaris
O = Lateral epicondyle of humerus
I = Metacarpal V
A = Extends and adducts palm
*8. Extensor digitorum
O = Lateral epicondyle of humerus
I = Dorsal surface of phalanges
A = Extends phalanges and palm: https://anatomy.mheducation.com/html/apr.html?animal=human&id=8673
*1. Gluteus maximus
O = Iliac crest, sacrum, coccyx
I = Gluteal tuberosity of femur
A = Extends thigh (hip joint) and laterally rotates thigh: https://anatomy.mheducation.com/html/apr.html?animal=human&id=8677
2. Gluteus medius
O = Ilium
I = Greater trochanter of femur
A = Abducts and medially rotates thigh: https://anatomy.mheducation.com/html/apr.html?animal=human&id=8678
3. Gluteus minimus
O = Ilium
I = Greater trochanter of femur
A = Abducts and medially rotates thigh
4. Tensor fasciae latae
O = Iliac crest (anterior part)
I = Lateral fascia of tibia
A = Tenses lateral fascia, flexes thigh (hip) and abducts thigh
*5. Adductor longus
O = Pubis
I = Linea aspera of femur
A = Adducts thigh
6. Adductor magnus
O = Pubis and ischium
I = Linea aspera of femur
A = Adducts thigh: https://anatomy.mheducation.com/html/apr.html?animal=human&id=8668
7. Adductor brevis {Note: Adductor magnus & brevis are collectively called Adductor femoris in mink.}
O = Pubis
I = Linea aspera of femur
A = Adducts thigh
*1. Quadriceps femoris:
*Rectus femoris
O = Anterior inferior iliac spine
I = Tibial tuberosity via patellar ligament
A = Extends leg (knee), flexes thigh (hip)
*Vastus lateralis
O = Greater trochanter and lateral to linea aspera of femur
I = Tibial tuberosity via patellar ligament
A = Extends leg
*Vastus medialis
O = Medial to linea aspera of femur
I = Tibial tuberosity via patellar ligament
A = Extends leg
*Vastus intermedius
O = Anterior surface of femur
I = Tibial tuberosity via patellar ligament
A = Extends leg
*2. Hamstrings:
*Biceps femoris
O = Ischial tuberosity and linea aspera
I = Lateral condyle of tibia and head of fibula
A = Flexes leg (knee), extends thigh (hip)
O = Ischial tuberosity
I = Medial surface of proximal tibia
A = Flexes leg and extends thigh
O = Ischial tuberosity
I = Medial condyle of tibia
A = Flexes leg and extends thigh
3. Gracilis
O = Pubis
I = Medial surface of tibia below condyle
A = Flexes leg and adducts thigh
4. Sartorius
O = Anterior superior iliac spine
I = Medial surface of proximal tibia
A = Flex thigh and leg, rotate thigh laterally: https://anatomy.mheducation.com/html/apr.html?animal=human&id=8687
1. Tibialis anterior
O = Lateral condyle and body of tibia
I = Metatarsal I
A = Dorsiflex foot
*2. Extensor digitorum longus
O = Lateral condyle of tibia, anterior surface of fibula
I = Dorsal surfaces of phalanges 2-5
A = Extends toes, dorsiflexes foot
3. Peroneus longus = Fibularis longus
O = Lateral condyle of tibia, head of fibula
I = Ventral surface of metatarsal I
A = Plantar flexes and everts foot: https://anatomy.mheducation.com/html/apr.html?animal=human&id=8675
*4. Gastrocnemius
O = Above lateral and medial condyles of femur
I = Calcaneus by way of Achilles tendon
A = Plantar flexes foot and flexes leg at knee: https://anatomy.mheducation.com/html/apr.html?animal=human&id=1
5. Soleus
**What comes next are calculated molecules, not part of the page:**
____________
# C2H6NP

2 unconnected molecules or ions with the total composition C2H6NP at a distorted geometry (ωB97M-V/def2-TZVPD, the Open Molecules 2025 dataset).

The HOMO energy comes out at -0.3026 Ha. As for the LUMO energy: 0.82 eV. Its frontier orbital gap is 9.049 eV.

Atoms and positions in Å:
H  0.93210  -1.15570  1.49410
P  2.38605  0.09358  -0.34174
C  -1.85948  -0.20349  -0.21467
H  -2.19882  0.13515  0.78054
H  2.36273  1.27069  -1.11234
N  -0.46764  0.20544  -0.43102
C  0.63538  -0.04485  0.03053
H  2.72598  0.58470  0.97669
H  -1.92823  -1.25742  -0.26741
H  -2.58807  0.37189  -0.91467



# C5H34N2O12

12 unconnected molecules or ions with the total composition C5H34N2O12 at a distorted geometry (ωB97M-V/def2-TZVPD, the Open Molecules 2025 dataset).

The HOMO energy (spin up / spin down) comes out at 0.0019 / -0.2431 Ha. As for the LUMO energy (spin up / spin down): 2.17 / 2.12 eV. Its total charge is -1. Its frontier orbital gap (spin up / spin down) is 2.115 / 8.732 eV. As for the spin multiplicity: 2.

Atoms and positions in Å:
H  -1.13529  0.71915  -2.90250
O  -0.45659  0.91159  -2.23689
H  2.28229  -1.60260  2.26540
H  -3.06603  2.70252  1.04094
H  1.76890  -1.59901  -2.51068
O  -2.14748  -0.86659  -3.21586
O  -2.26707  0.60725  3.97680
H  -2.50373  1.37799  1.48025
H  0.36891  -2.30899  -2.40636
O  3.89790  -0.20514  3.64714
H  -2.17194  0.58641  4.94870
H  3.69850  0.72913  3.75787
C  1.41506  -2.26761  2.34678
C  0.96778  -1.48678  0.02787
H  -2.05600  -1.66397  -3.74931
C  0.31727  -1.91653  1.37688
H  0.26457  -0.80798  -0.41066
H  1.52948  1.54500  -3.34381
H  -0.57332  4.32620  -1.54926
O  1.30544  2.46748  -3.48792
O  -3.61342  1.16115  -1.77664
N  -0.67650  -0.88953  1.77820
C  1.51888  -2.68184  -0.77539
N  1.35226  -2.47690  -2.21851
H  1.74410  -0.78115  0.36361
H  0.37455  2.47243  -3.65260
H  -0.53555  -0.60789  2.74084
H  -3.24007  0.56386  3.89166
O  -0.53609  -4.73519  -0.85454
H  -2.80326  1.12109  -1.30440
H  3.96248  3.28020  -0.76027
H  -0.92546  0.61566  -1.44682
H  -0.92709  -5.27754  -0.15975
O  -0.64864  4.95242  -0.82640
O  -2.77087  1.85324  0.68958
C  -1.95489  -1.03352  1.34248
H  -0.36139  -2.75346  1.16036
H  0.16069  5.46580  -0.78475
O  -2.26209  -1.70549  0.36931
H  3.21721  3.29266  0.50578
H  3.87384  -0.39156  4.59462
H  0.57755  2.99020  -0.41540
H  1.84259  -3.20088  1.95490
H  -3.10973  -0.76403  -3.26287
O  1.47960  3.19899  -0.57170
H  -2.66133  -0.35165  1.81400
H  0.95362  -3.56324  -0.45084
H  2.60207  -2.67457  -0.62985
H  -3.96237  2.00145  -1.48057
O  4.08660  3.50965  0.14362
H  1.31929  -2.39002  3.42587
H  1.75157  2.71746  -1.35905
H  -1.26677  -4.16535  -1.09985



# C42H36FLuP2

A molecular structure, C42H36FLuP2 at a distorted geometry (ωB97M-V/def2-TZVPD, the Open Molecules 2025 dataset).

The HOMO energy comes out at -0.4879 Ha. As for the LUMO energy: -6.76 eV. Its total charge is +2. Its frontier orbital gap is 6.520 eV.

Atoms and positions in Å:
____________
**So much for the calculated molecules:**
O = Posteromedial tibia; Head of fibula
I = Calcaneus by way of Achilles tendon
A = Plantar flexes foot
*6. Flexor digitorum longus
O = Posterior surface of tibia
I = Distal phalanges 2-5
A = Flexes toes and plantar flexes foot
*1. External abdominal oblique
O = Lower 8 ribs
I = Linea alba and iliac crest
A = Compresses abdomen; flexes or bends spine; depresses ribs: https://anatomy.mheducation.com/html/apr.html?animal=human&id=8674
2. Internal abdominal oblique
O = Iliac crest and thoracolumbar fascia
I = Linea alba and lower ribs
A = Compresses abdomen, flexes or bends spine; depresses ribs: https://anatomy.mheducation.com/html/apr.html?animal=human&id=8674
3. Transversus abdominis
O = Iliac crest, lumbar fascia and costal cartilage of lower ribs
I = Linea alba and pubis
A = Compresses abdomen
*4. Rectus abdominis
O = Xiphoid process and costal cartilages of ribs 5-7
I = Symphysis pubis
A = Compresses abdomen, flexes vertebral column, and depresses ribs: https://anatomy.mheducation.com/html/apr.html?animal=human&id=12
1. Diaphragm
O = Xiphoid process, costal cartilages of ribs 4-10 and lumbar vertebrae
I = Central tendon of diaphragm
A = Increases size of thoracic cavity for breathing
*2. External intercostals
O = One rib
I = Next rib
A = Breathing [elevates ribs]
*3. Internal intercostals
O = One rib
I = Next rib
A = Breathing [depresses ribs]
1. Erector spinae
Iliocostalis (most lateral)
O = Iliac crest and ribs
I = Ribs
A = Extends the vertebral column and bends it laterally
Longissimus (intermediate)
O = Transverse processes of lumbar, thoracic and lower cervical vertebrae
I = Transverse processes of the vertebrae above the vertebra of origin, plus the mastoid process of the temporal bone
A = Extends vertebral column
Spinalis (medial)
O = Spinous process of lumbar and lower thoracic vertebrae
I = Spinous process of upper thoracic vertebrae
A = Extends the vertebral column